<<<
TlAs2Os, optimized geometry, DFT GGA-PBE; offset from the most stable computed form = 759 meV per atom; spin magnetization = 0.000 μB/atom; total DFT energy (no corrections) = -0.177 hartree per atom; ΔE_f = 0.90 eV/atom
1.0
5.066 0.003 0.000
1.404 4.867 0.000
-3.235 -2.435 3.044
Tl Os As
1 1 2
Direct
0.750 0.250 0.500
0.500 0.500 0.000
0.000 0.000 0.000
0.250 0.750 0.500


RbTlC3, optimized geometry, DFT GGA-PBE; offset from the most stable computed form = 745 meV per atom; spin magnetization = 1.600 μB/atom; total DFT energy (no corrections) = -0.088 hartree per atom; ΔE_f = 3.81 eV/atom
1.0
-4.691 2.600 1.994
-3.156 -2.648 -3.972
-0.882 -4.356 3.605
Tl C Rb
1 3 1
Direct
0.500 0.500 0.500
0.000 0.500 0.000
0.000 0.000 0.500
0.500 0.000 0.000
0.000 0.000 0.000


SmPaGa2, optimized geometry, DFT GGA-PBE; offset from the most stable computed form = 110 meV per atom; spin magnetization = 0.304 μB/atom; total DFT energy (no corrections) = -0.196 hartree per atom; ΔE_f = -0.26 eV/atom
1.0
5.103 0.000 0.000
2.552 4.420 0.000
2.552 1.473 4.167
Pa Ga Sm
1 2 1
Direct
0.000 0.000 0.000
0.250 0.250 0.250
0.750 0.750 0.750
0.500 0.500 0.500


SmPaCd2O6, optimized geometry, DFT GGA-PBE; raw formation energy = -2.531 eV per atom; spin magnetization = 0.000 μB/atom; total DFT energy (no corrections) = -0.261 hartree per atom
1.0
5.840 0.000 0.000
2.920 5.058 0.000
2.920 1.686 5.200
Sm Pa Cd O
1 1 2 6
Direct
0.812 0.812 0.563
0.318 0.318 0.047
0.534 0.534 0.398
0.029 0.029 0.914
0.591 0.209 0.258
0.209 0.942 0.258
0.942 0.591 0.258
0.422 0.692 0.773
0.692 0.113 0.773
0.113 0.422 0.773


K2Ba2Pt, optimized geometry, DFT GGA-PBE; offset from the most stable computed form = 276 meV per atom; spin magnetization = 0.000 μB/atom; total DFT energy (no corrections) = -0.093 hartree per atom; ΔE_f = -0.10 eV/atom
1.0
-7.102 -0.759 -4.490
4.545 -1.694 -6.902
-0.259 -7.595 1.693
K Ba Pt
4 4 2
Direct
0.177 0.677 0.500
0.677 0.823 0.500
0.823 0.323 0.500
0.323 0.177 0.500
0.315 0.815 0.000
0.815 0.685 0.000
0.685 0.185 0.000
0.185 0.315 0.000
0.000 0.000 0.000
0.500 0.500 0.000


K2SiSnH, optimized geometry, DFT GGA-PBE; spin magnetization = 0.001 μB/atom; total DFT energy (no corrections) = -0.094 hartree per atom
1.0
6.483 0.000 0.000
0.000 5.198 0.000
0.000 0.000 6.483
H K Si Sn
1 2 1 1
Direct
0.500 0.500 0.500
0.000 0.000 0.500
0.500 0.000 0.000
0.000 0.000 0.000
0.000 0.500 0.000


Sc2BiCl, optimized geometry, DFT GGA-PBE; offset from the most stable computed form = 17 meV per atom; raw formation energy = -0.724 eV per atom; spin magnetization = 0.000 μB/atom; total DFT energy (no corrections) = -0.196 hartree per atom
1.0
2.431 0.000 8.184
-1.215 2.105 8.184
-1.215 -2.105 8.184
Sc Bi Cl
2 1 1
Direct
0.900 0.900 0.900
0.100 0.100 0.100
0.500 0.500 0.500
0.000 0.000 0.000


Tl2FeTc, optimized geometry, DFT GGA-PBE; offset from the most stable computed form = 361 meV per atom; spin magnetization = 0.731 μB/atom; total DFT energy (no corrections) = -0.186 hartree per atom; ΔE_f = 0.82 eV/atom
1.0
0.546 -1.000 4.540
-3.694 -1.274 2.576
-0.403 -4.420 1.487
Tl Tc Fe
2 1 1
Direct
0.250 0.250 0.250
0.750 0.750 0.750
0.500 0.500 0.500
0.000 0.000 0.000


- Which of these has the highest total DFT energy (no corrections)?
  RbTlC3

* * * * *

(1)
Below is a geometry-optimized BaNiS2O8 structure, with properties calculated at the PBE with a Hubbard U level.

Properties
Final energy: -0.4516 Ry/atom

a = 8.3897 Å, b = 5.2341 Å, c = 7.8415 Å
α = 90.00°, β = 94.36°, γ = 90.00°
With the nearest neighbours (Å) after each atom.
Space group C2/m (No. 12)
One atom of each set of equivalent atoms:
Ba: 0.0000 0.0000 0.0000  6 O 2.77-2.84
Ni: 0.0000 0.0000 0.5000  6 O 2.04-2.09
S: 0.1317 0.5000 0.2917  4 O 1.46-1.50
O: 0.0293 0.2670 0.3061  1 S 1.50
O: 0.1862 0.5000 0.1138  1 S 1.50
O: 0.2380 0.0000 0.5743  1 S 1.46

(2)
Below is a geometry-optimized Ba2ScNiO5 structure, with properties calculated at the PBE with a Hubbard U level.

Properties
>>>

It remains to find "GGA-PBE; spin" and "geometry-optimized BaNiS2O8" in the entries earlier on, and restate these two lines and those between.

K2SiSnH, optimized geometry, DFT GGA-PBE; spin magnetization = 0.001 μB/atom; total DFT energy (no corrections) = -0.094 hartree per atom
1.0
6.483 0.000 0.000
0.000 5.198 0.000
0.000 0.000 6.483
H K Si Sn
1 2 1 1
Direct
0.500 0.500 0.500
0.000 0.000 0.500
0.500 0.000 0.000
0.000 0.000 0.000
0.000 0.500 0.000


Sc2BiCl, optimized geometry, DFT GGA-PBE; offset from the most stable computed form = 17 meV per atom; raw formation energy = -0.724 eV per atom; spin magnetization = 0.000 μB/atom; total DFT energy (no corrections) = -0.196 hartree per atom
1.0
2.431 0.000 8.184
-1.215 2.105 8.184
-1.215 -2.105 8.184
Sc Bi Cl
2 1 1
Direct
0.900 0.900 0.900
0.100 0.100 0.100
0.500 0.500 0.500
0.000 0.000 0.000


Tl2FeTc, optimized geometry, DFT GGA-PBE; offset from the most stable computed form = 361 meV per atom; spin magnetization = 0.731 μB/atom; total DFT energy (no corrections) = -0.186 hartree per atom; ΔE_f = 0.82 eV/atom
1.0
0.546 -1.000 4.540
-3.694 -1.274 2.576
-0.403 -4.420 1.487
Tl Tc Fe
2 1 1
Direct
0.250 0.250 0.250
0.750 0.750 0.750
0.500 0.500 0.500
0.000 0.000 0.000


- Which of these has the highest total DFT energy (no corrections)?
  RbTlC3

* * * * *

(1)
Below is a geometry-optimized BaNiS2O8 structure, with properties calculated at the PBE with a Hubbard U level.